Art, Philosophy, Concreteness by William Desmond
"Every philosophy is complete within itself, and like an authentic work of art, carries the totality within itself."
-G .F. W. Hegel

The ancient way of posing the problem of concreteness was in terms of the relation of being and thinking. The modern way, starting with Descartes, puts the issue in terms of the relation of subject and object, res cognitans and res extensa. In both cases, the issue tends to be posed by means of two terms alone, and the resulting reflection tends to be dogged by a certain dualism... Art and philosophy provide us with the modes of human activity corresponding to the epistemological powers we discover in intuition and the concept. Should we discover some continuity between them, then, important light may be thrown on the issue of concreteness. Put somewhat differently: Beside being and thinking, or the ontological and logical, the aesthetical might be introduced as an essential mediating term...

Given this focus, what, then, does the art work reveal to us concerning the nature of concreteness? At first the art work seems to present itself as an immediate material object, a mere objet d'art. Its concreteness seems to be just this, its simple empirical particularity. It seems to be the aesthetical version of the bare "this" of which Hegel speaks in the Phenomenology in terms of the object of sense-certainty. To this immediate concreteness is often ascribed art's positive power. The art work, it is said, impresses itself on us with sheer unmediated presence. Clearly, however, the concreteness of the art work cannot be identified with such an unmediated particularity. Were it so, it would exclude all internal complexity and immanent differentiation. It would cease to be a work, moreover a work of art; for sheer immediacy would not entail the mediating activity of its artistic originator. The art object is more complex and full than a bare "this" because it is a worked thing, a something made, a poiesis in the etymological sense. Its concreteness is that of a creation.

As such it involves a reference to the dynamic activity that originates it. An art work is the product of a process of origination and never can be fully understood in abstraction from this process. Its dynamic concreteness is just the fact that it is the sensuous embodiment of such a process of origination. Moreover, this dynamic concreteness is not blandly homogeneous. Tension is ingredient in its nature. If, for instance, we think of the artist wrestling with his materials, we conjure up the picture of such a struggle with sometimes disparate, sometimes opposing strands. The art work articulates and embodies something of this struggle. In sum, the art work makes concretely articulate a complex process of emergence both in the artist and his expressive powers, and in his material and its susceptibility for aesthetic form...

The form of the art work arises out of it immanently...a process of active formation. We do not discover a dualism of particular and universal, instance and form, the sensible and the intelligible. On the contrary, the art work tends to rescue particularity from arbitrariness, and universality from incommunicability. Again in the etymological sense, the art work might be seen as a poetic universal: the coming to emergence and concretion (poiesis) of a universal significance...

Another way we might put this point is by saying that the art work constitutes a kind of world. What is universal about it is its nature as an expressive universe, a rich and dense microcosm. As an individual whole, an expressive world, it telescopes within itself a sense of the whole. For Hegel this makes it to be the sensuous manifestation of Geist, the making concrete of Geist. The individual world of the art work is concrete spirit. It is the gathering of a rich unity of the activity of the spirit...the rich concreteness of the artistic microcosm awakens us to the analogous concreteness of the macrocosm, awakens us, in Hegelian terms, to the universe itself as a concretion of absolute spirit.

Calculated crystals, kept here for reference:
/*
# 1
Entry from the Materials Project database: a geometry-optimized BeGaIr2 structure (r2SCAN).

Calculated values
* E_form: -0.56 eV per atom
* total magnetization: 0.00 μB per formula unit
* uncorrected energy: -30.6845 eV per atom

Cell: 4.1310 4.1310 4.1310 Å, 60.00 60.00 60.00°
Closest atoms and distances in Å follow each position.
Fractional coordinates of all 4 atoms:
Be1 0.2500 0.2500 0.2500  8 Ir 2.53
Ga1 0.7500 0.7500 0.7500  8 Ir 2.53
Ir1 0.0000 0.0000 0.0000  4 Be 2.53, 4 Ga 2.53
Ir2 0.5000 0.5000 0.5000  4 Be 2.53, 4 Ga 2.53

# 2
Entry from the Materials Project database: a geometry-optimized Hg2Pt2O7 structure (r2SCAN).

Calculated values
* E_form: -0.51 eV per atom
* total magnetization: 0.00 μB per formula unit
* uncorrected energy: -22.6456 eV per atom

Cell: 7.2300 7.2302 7.2300 Å, 60.00 60.00 60.00°
Closest atoms and distances in Å follow each position.
Fractional coordinates of all 22 atoms:
Hg1 0.1250 0.1250 0.1250  2 O 2.21
Hg2 0.6250 0.1250 0.1250  2 O 2.21
Hg3 0.1250 0.6250 0.1250  2 O 2.21
Hg4 0.1250 0.1250 0.6250  2 O 2.21
Pt1 0.6250 0.6250 0.1250  6 O 1.98
Pt2 0.6250 0.6250 0.6250  6 O 1.98
Pt3 0.6250 0.1250 0.6250  6 O 1.98
Pt4 0.1250 0.6250 0.6250  6 O 1.98
O1 0.7034 0.2967 0.2966  2 Pt 1.98
O2 0.7034 0.2967 0.7034  2 Pt 1.98
O3 0.0000 0.0000 0.0000  4 Hg 2.21
O4 0.2966 0.7034 0.2966  2 Pt 1.98
O5 0.7034 0.7034 0.2967  2 Pt 1.98
O6 0.9533 0.5467 0.5466  2 Pt 1.98
O7 0.2967 0.7034 0.7034  2 Pt 1.98
O8 0.2500 0.2500 0.2500  4 Hg 2.21
O9 0.9534 0.5467 0.9534  2 Pt 1.98
O10 0.5466 0.9533 0.5466  2 Pt 1.98
O11 0.5466 0.5466 0.9533  2 Pt 1.98
O12 0.9534 0.9533 0.5466  2 Pt 1.98
O13 0.5466 0.9533 0.9534  2 Pt 1.98
O14 0.2966 0.2967 0.7034  2 Pt 1.98

# 3
Entry from the Materials Project database: a geometry-optimized NdCo2Si2 structure (r2SCAN).

Calculated values
* E_form: -0.70 eV per atom
* total magnetization: 0.00 μB per formula unit
* uncorrected energy: -15.3847 eV per atom

Cell: 3.9179 3.9179 5.7043 Å, 110.08 110.08 90.00°
Closest atoms and distances in Å follow each position.
Fractional coordinates of all 5 atoms:
Nd1 0.0000 0.0000 0.0000  8 Si 3.08, 8 Co 3.17
Co1 0.2500 0.7500 0.5000  4 Si 2.27
Co2 0.7500 0.2500 0.5000  4 Si 2.27
Si1 0.6349 0.6349 0.2698  4 Co 2.27
Si2 0.3651 0.3651 0.7302  4 Co 2.27

# 4
Entry from the Materials Project database: a geometry-optimized AlPS4 structure (r2SCAN).

Calculated values
* E_form: -0.68 eV per atom
* total magnetization: 0.00 μB per formula unit
* uncorrected energy: -8.6588 eV per atom

Cell: 5.6541 5.6550 10.2067 Å, 90.00 90.00 90.00°
Closest atoms and distances in Å follow each position.
Fractional coordinates of all 12 atoms:
Al1 0.0000 0.0000 0.0000  4 S 2.25
Al2 0.5000 0.0000 0.5000  4 S 2.25
P1 0.0000 0.5000 0.0000  4 S 2.05
P2 0.0000 0.0000 0.5000  4 S 2.05
S1 0.2038 0.2767 0.1112  1 P 2.05, 1 Al 2.25
S2 0.2038 0.7233 0.8888  1 P 2.05, 1 Al 2.25
S3 0.7962 0.2767 0.8888  1 P 2.05, 1 Al 2.25
S4 0.7962 0.7233 0.1112  1 P 2.05, 1 Al 2.25
*/
Here the article continues:

William Desmond
, Ph.D., is Director of the International Program in Philosophy at the Centre for Metaphysics and Modern Philosophy of Katholieke Universiteit (Leuven, Belgium), This excerpt is from an essay, "Art, Philosophy, and Concreteness in Hegel," originally published in The Owl of Minerva, (spring 1985; volume 16, #2), the official journal of The Hegel Society of America.

Artolatry bread image after Salvadore Dalí's Basket of Bread (1926).